Unless it’s a long haul flight where the duration of the flight exceeds the strength of my middle-aged bladder, I always prefer a window seat. I never get tired of watching the ever-changing, terrain, identifying cities and landmarks from above, and trying to figure out where exactly the plane would be on a map.
I’ve always enjoyed snapping photos from my window seat with my smartphone. Early on, most my photos were crap. Even though Verizon has kept me supplied with some of the latest and greatest smartphones I’ve had to learn from my mistakes. Over the years I have slowly been able to up my game. Here are my 7 tips for taking amazing photos from the window seat with your smartphone.
1. Dress for success
Depending on which side of the plane you’re on, the time of day, and the lighting inside the plane, there is almost always some kind of glare or reflection on the window that can mess up your shot. On the way to Alaska, I took what I thought were some pretty cool photos of Mt. Rainer in Washington. After loading the photos on my laptop, I discovered the reflection of my blue and white checked shirt all over the snow-capped mountain. I’ve found that I can minimize glare and reflection with a combination or wearing dark, solid color clothing and by positioning my body to block whatever light source is interfering with my photo.
2. Charge up
Make sure your smartphone is fully charged and turned on prior to takeoff. One time when I was flying out of San Francisco (SFO) I had turned my smartphone off in order to save the battery just prior to departure. When we took off to the north, I had the most amazing view of the city and the Golden Gate Bridge on a clear, sunny day. It would have made the most incredible picture but the time my phone booted up, the plane had turned west and I missed a great photo opportunity. I’m still sick about that one.
3. Takeoff and landing
Your best opportunity for taking good photos is during takeoff and landing. Being closer to your subject and not having to shoot through as many layers of fog, smog, or haze will give you a clearer shot. As a good rule of thumb for takeoff, have your camera on and ready to shoot. For landing, turn your camera on when the flight attendant makes the announcement for people to put away their laptops.
4. Know your flight path
Knowing which side of the plane to sit on can make all the difference in the world. On a flight from San Antonio to Las Vegas the pilot announced that there was a spectacular view of the Grand Canyon for those seated on the right side of the plane. I was seated on the left side. Had I bothered to check a map before booking my flight, I could have seen that the Grand Canyon would have been on the right of the plane assuming normal flight patterns and air traffic. Missed again! Also, if you’re one who likes to capture sunrises and sunsets, keep in mind the direction you’ll be flying so you’ll know which side of the plane to be on.
5. Wing It
Getting a part of the plane’s’ wing in your photos often give the shot a little more drama and perspective. It can also help with framing the subject of your photo.
6. Limit digital zoom
Materials data that have nothing to do with the piece
BeV2CrO6 | PBE+U | relaxed

**Calculated volume**: 9.96 Å³ per atom
**M_tot**: 0.6000 μB/atom
**Electronic total energy**: -7.65 eV/atom

The structure in POSCAR format:
```
BeV2CrO6
1.0
4.9235 0.0000 0.0000
2.4271 4.2895 0.0000
2.4253 1.4404 4.7153
Be V Cr O
1 2 1 6
Direct
0.0000 0.0000 0.0000
0.2510 0.2495 0.2453
0.7644 0.7576 0.7095
0.5651 0.5633 0.3031
0.1575 0.4891 0.5068
0.3332 0.9628 0.0205
0.5076 0.8407 0.5049
0.6858 0.3334 0.0166
0.8502 0.1515 0.4991
0.9622 0.6865 0.0141
```

* * * * *

[1]
Crystalline Tb2Hg3Au at its relaxed geometry. Source: the Alexandria database, functional PBE.

Cell: 3.4259 4.9037 8.4927 Å, 90.00 90.00 90.00°
Fractional coordinates of all 6 atoms:
Hg1 0.5000 0.0000 0.8321
Tb1 0.0000 0.0000 0.4868
Hg2 0.5000 0.5000 0.6639
Hg3 0.5000 0.0000 0.1676
Tb2 0.0000 0.5000 0.0166
Au1 0.5000 0.5000 0.3330

## Properties
DFT formation energy (eV/atom): -0.50

[2]
Crystalline MoOsRh at its relaxed geometry. Source: the Alexandria database, functional PBE.

Cell: 4.7884 4.7884 4.7884 Å, 147.04 131.52 59.87°
Fractional coordinates of all 3 atoms:
Os1 0.3349 0.3349 0.0000
Rh1 0.6683 0.6683 0.0000
Mo1 0.9968 0.9968 0.0000

## Properties
DFT formation energy (eV/atom): 0.01
Energy above the most stable polymorph in this dataset (eV/atom): 0.138

[3]
Crystalline LaTbY3Ho at its relaxed geometry. Source: the Alexandria database, functional PBE.

Cell: 5.0753 8.0487 10.1708 Å, 90.00 90.00 108.38°
Fractional coordinates of all 12 atoms:
Y1 0.6673 0.3346 0.0004
Y2 0.8310 0.6621 0.2500
Ho1 0.8315 0.6631 0.7500
Y3 0.1690 0.3379 0.7500
Tb1 0.0000 0.0000 0.5000
La1 0.5010 0.0020 0.2500
Y4 0.6673 0.3346 0.4996
Ho2 0.1685 0.3369 0.2500
La2 0.4990 0.9980 0.7500
Y5 0.3327 0.6654 0.9996
Y6 0.3327 0.6654 0.5004
Tb2 0.0000 0.0000 0.0000

## Properties
DFT formation energy (eV/atom): 0.03

[4]
Crystalline NaBi4H2 at its relaxed geometry. Source: the Alexandria database, functional PBE.

Cell: 4.6737 4.6617 9.8729 Å, 117.79 90.00 90.00°
Fractional coordinates of all 7 atoms:
Bi1 0.5000 0.0903 0.2228
Bi2 0.5000 0.9097 0.7772
Bi3 0.0000 0.4139 0.6410
H1 0.5000 0.0286 0.3960
H2 0.5000 0.9714 0.6040
Na1 0.0000 0.5000 0.0000
Bi4 0.0000 0.5861 0.3590

## Properties
VASP energy (eV for the cell shown): -22.5

Number 1: V 142.7 Å³/cell. Number 2: V 44.3 Å³/cell. Number 3: V 394.3 Å³/cell. Number 4: V 190.3 Å³/cell.
When you are in an airplane you are usually pretty far away from your subject and there is a temptation to zoom in on it. The problem with digital zoom is that it tends to produce grainier photos (see my photos of Washing D.C. Below). I’ve found that I can get better photos by cropping a photo shot with a high megapixel rear camera than I can with digital zoom. Better yet, if you can get an optical zoom module for your smartphone, do it! It makes a HUGE difference. Here’s an article I wrote that show examples of the difference.
I’m currently using a Moto Force Z with a 21MP camera which has been awesome. Verizon recently provided me with a Hasselblad True Zoom Camera Mod for my smartphone. I can’t wait to try it out from the window seat!
7. Share your photos
If you take your photos with the intent of sharing them across your social networks, you’re much more likely to take your time to frame your photo correctly and to be conscious of things like glare (see tip #1). We’d love for you to share some of your favorite window seat photos on our Facebook page. Here’s the link! Also, if you have any additional tips, please share them in the comments below. Thanks!!
Here are some more of my favorite photos taken from the window seat.
Flying over AT&T Stadium in Arlington, Texas. Note the glare from the window and the graininess from the digital zoom.
Don’t forget to share your window seat photos on our Facebook page!